## Entries
-- begin --
Record 1
Pu2Si4Mo3: optimized geometry, GGA-PBE.

Cell: 6.797 6.820 6.747 Å, 90.00 110.12 90.00°
Sites, in units of the cell vectors:
Pu1 0.176 0.155 0.054
Pu2 0.176 0.345 0.554
Pu3 0.824 0.655 0.446
Pu4 0.824 0.845 0.946
Si1 0.087 0.542 0.871
Si2 0.087 0.958 0.371
Si3 0.495 0.133 0.865
Si4 0.495 0.367 0.365
Si5 0.505 0.633 0.635
Si6 0.505 0.867 0.135
Si7 0.913 0.042 0.629
Si8 0.913 0.458 0.129
Mo1 0.249 0.667 0.253
Mo2 0.249 0.833 0.753
Mo3 0.500 0.000 0.500
Mo4 0.500 0.500 0.000
Mo5 0.751 0.167 0.247
Mo6 0.751 0.333 0.747

Calculated formation energy: -0.183 eV per atom
Crystal system: monoclinic
Space group: P2_1/c (14)

=====

Record 2
Rb5Mo18S19: optimized geometry, GGA-PBE.

Cell: 26.542 26.542 26.542 Å, 19.89 19.89 19.89°
Sites, in units of the cell vectors:
Rb1 0.035 0.035 0.035
Rb2 0.094 0.094 0.094
Rb3 0.152 0.152 0.152
Rb4 0.211 0.211 0.211
Rb5 0.273 0.273 0.273
Rb6 0.727 0.727 0.727
Rb7 0.789 0.789 0.789
Rb8 0.848 0.848 0.848
Rb9 0.906 0.906 0.906
Rb10 0.965 0.965 0.965
Mo1 0.166 0.499 0.362
Mo2 0.212 0.354 0.549
Mo3 0.222 0.557 0.421
Mo4 0.273 0.406 0.607
Mo5 0.278 0.612 0.481
Mo6 0.332 0.461 0.665
Mo7 0.335 0.668 0.539
Mo8 0.354 0.549 0.212
Mo9 0.362 0.166 0.499
Mo10 0.388 0.519 0.722
Mo11 0.393 0.727 0.594
Mo12 0.406 0.607 0.273
Mo13 0.421 0.222 0.557
Mo14 0.443 0.579 0.778
Mo15 0.451 0.788 0.646
Mo16 0.461 0.665 0.332
Mo17 0.481 0.278 0.612
Mo18 0.499 0.362 0.166
Mo19 0.501 0.638 0.834
Mo20 0.519 0.722 0.388
Mo21 0.539 0.335 0.668
Mo22 0.549 0.212 0.354
Mo23 0.557 0.421 0.222
Mo24 0.579 0.778 0.443
Mo25 0.594 0.393 0.727
Mo26 0.607 0.273 0.406
Mo27 0.612 0.481 0.278
Mo28 0.638 0.834 0.501
Mo29 0.646 0.451 0.788
Mo30 0.665 0.332 0.461
Mo31 0.668 0.539 0.335
Mo32 0.722 0.388 0.519
Mo33 0.727 0.594 0.393
Mo34 0.778 0.443 0.579
Mo35 0.788 0.646 0.451
Mo36 0.834 0.501 0.638
S1 0.044 0.666 0.404
S2 0.056 0.307 0.673
S3 0.094 0.719 0.474
S4 0.108 0.359 0.734
S5 0.149 0.773 0.535
S6 0.169 0.409 0.794
S7 0.206 0.831 0.591
S8 0.227 0.465 0.851
S9 0.266 0.892 0.641
S10 0.281 0.526 0.906
S11 0.307 0.673 0.056
S12 0.319 0.319 0.319
S13 0.327 0.944 0.693
S14 0.334 0.596 0.956
S15 0.359 0.734 0.108
S16 0.404 0.044 0.666
S17 0.409 0.794 0.169
S18 0.465 0.851 0.227
S19 0.474 0.094 0.719
S20 0.526 0.906 0.281
S21 0.535 0.149 0.773
S22 0.591 0.206 0.831
S23 0.596 0.956 0.334
S24 0.641 0.266 0.892
S25 0.666 0.404 0.044
S26 0.673 0.056 0.307
S27 0.681 0.681 0.681
S28 0.693 0.327 0.944
S29 0.719 0.474 0.094
S30 0.734 0.108 0.359
S31 0.773 0.535 0.149
S32 0.794 0.169 0.409
S33 0.831 0.591 0.206
S34 0.851 0.227 0.465
S35 0.892 0.641 0.266
S36 0.906 0.281 0.526
S37 0.944 0.693 0.327
S38 0.956 0.334 0.596

Calculated formation energy: -1.018 eV per atom
Crystal system: trigonal
Space group: R-3 (148)

=====

Record 3
Rb4Mo21S25: optimized geometry, GGA-PBE.

Cell: 28.572 28.572 28.572 Å, 19.13 19.13 19.13°
Sites, in units of the cell vectors:
Rb1 0.101 0.101 0.101
Rb2 0.160 0.160 0.160
Rb3 0.340 0.340 0.340
Rb4 0.399 0.399 0.399
Rb5 0.601 0.601 0.601
Rb6 0.660 0.660 0.660
Rb7 0.840 0.840 0.840
Rb8 0.899 0.899 0.899
Mo1 0.019 0.890 0.212
Mo2 0.030 0.169 0.841
Mo3 0.055 0.382 0.231
Mo4 0.085 0.250 0.415
Mo5 0.110 0.788 0.981
Mo6 0.118 0.445 0.269
Mo7 0.159 0.970 0.831
Mo8 0.169 0.841 0.030
Mo9 0.212 0.019 0.890
Mo10 0.231 0.055 0.382
Mo11 0.250 0.415 0.085
Mo12 0.269 0.118 0.445
Mo13 0.288 0.610 0.481
Mo14 0.331 0.470 0.659
Mo15 0.341 0.669 0.530
Mo16 0.382 0.231 0.055
Mo17 0.390 0.519 0.712
Mo18 0.415 0.085 0.250
Mo19 0.445 0.269 0.118
Mo20 0.470 0.659 0.331
Mo21 0.481 0.288 0.610
Mo22 0.519 0.712 0.390
Mo23 0.530 0.341 0.669
Mo24 0.555 0.731 0.882
Mo25 0.585 0.915 0.750
Mo26 0.610 0.481 0.288
Mo27 0.618 0.769 0.945
Mo28 0.659 0.331 0.470
Mo29 0.669 0.530 0.341
Mo30 0.712 0.390 0.519
Mo31 0.731 0.882 0.555
Mo32 0.750 0.585 0.915
Mo33 0.769 0.945 0.618
Mo34 0.788 0.981 0.110
Mo35 0.831 0.159 0.970
Mo36 0.841 0.030 0.169
Mo37 0.882 0.555 0.731
Mo38 0.890 0.212 0.019
Mo39 0.915 0.750 0.585
Mo40 0.945 0.618 0.769
Mo41 0.970 0.831 0.159
-- stop --
## Job
Work out how many lines further above have the word "Mo36" in them; a number is enough.
## Done
2